## Job
Please duplicate the block further below word for word.

## Data
Starting from a structure optimized by DFT (PBE), the powder diffraction line list of HoErInCo was computed for Cu Kα X-rays.
Peak positions follow from Bragg's law for the DFT cell and can differ from measured ones.

The 10 most intense peaks (2θ from 10° to 90°), sorted by position:
d/Å, 2theta, Rel. int.
3.343, 26.67, 10
3.082, 28.97, 16
2.653, 33.78, 12
2.560, 35.06, 100
2.364, 38.07, 49
1.765, 51.80, 14
1.671, 54.93, 17
1.522, 60.85, 10
1.437, 64.87, 12
1.400, 66.85, 30

Atomic structure:
```
data_HoErInCo
_space_group_name_H-M_alt 'P 4 m m'
_space_group_IT_number 99
_cell_length_a 3.3429
_cell_length_b 3.3429
_cell_length_c 7.9598
_cell_angle_alpha 90.00
_cell_angle_beta 90.00
_cell_angle_gamma 90.00
loop_
_space_group_symop_operation_xyz
'x,y,z'
'-y,x,z'
'-x,-y,z'
'y,-x,z'
'-x,y,z'
'y,x,z'
'x,-y,z'
'-y,-x,z'
loop_
_atom_site_label
_atom_site_type_symbol
_atom_site_fract_x
_atom_site_fract_y
_atom_site_fract_z
_atom_site_occupancy
Ho1 Ho 0.0000 0.0000 0.0000 1
Er1 Er 0.0000 0.0000 0.5887 1
In1 In 0.5000 0.5000 0.2953 1
Co1 Co 0.5000 0.5000 0.7926 1
```

Starting from a structure optimized by DFT (PBE), the powder diffraction line list of HoErMnCo was computed for Cu Kα X-rays.
Peak positions follow from Bragg's law for the DFT cell and can differ from measured ones.

The 8 most intense peaks (2θ from 10° to 90°), sorted by position:
d/Å, 2theta, Rel. int.
3.427, 26.00, 27
2.423, 37.10, 100
1.979, 45.86, 8
1.714, 53.47, 17
1.533, 60.40, 12
1.399, 66.87, 35
1.212, 79.03, 11
1.142, 84.89, 6

Atomic structure:
```
data_HoErMnCo
_space_group_name_H-M_alt 'F -4 3 m'
_space_group_IT_number 216
_space_group_name_Hall 'F -4 2 3'
_cell_length_a 6.8541
_cell_length_b 6.8541
_cell_length_c 6.8541
_cell_angle_alpha 90.00
_cell_angle_beta 90.00
_cell_angle_gamma 90.00
loop_
_atom_site_label
_atom_site_type_symbol
_atom_site_fract_x
_atom_site_fract_y
_atom_site_fract_z
_atom_site_occupancy
Ho1 Ho 0.0000 0.0000 0.0000 1
Er1 Er 0.0000 0.0000 0.5000 1
Mn1 Mn 0.2500 0.2500 0.2500 1
Co1 Co 0.2500 0.2500 0.7500 1
```

Starting from a structure optimized by DFT (PBE), the powder diffraction line list of Er6InCo was computed for Cu Kα X-rays.
Peak positions follow from Bragg's law for the DFT cell and can differ from measured ones.

The 10 most intense peaks (2θ from 10° to 90°), sorted by position:
d/Å, 2theta, Rel. int.
2.996, 29.82, 75
2.939, 30.42, 73
2.921, 30.61, 78
2.888, 30.96, 100
2.573, 34.87, 94
2.545, 35.27, 53
2.509, 35.79, 72
2.375, 37.87, 36
1.647, 55.81, 34
1.561, 59.17, 36

Atomic structure:
```
data_Er6InCo
_space_group_name_H-M_alt 'C 1 2/m 1'
_space_group_IT_number 12
_cell_length_a 7.9020
_cell_length_b 9.7726
_cell_length_c 6.1758
_cell_angle_alpha 90.00
_cell_angle_beta 105.15
_cell_angle_gamma 90.00
loop_
_space_group_symop_operation_xyz
'x,y,z'
'-x,-y,-z'
'-x,y,-z'
'x,-y,z'
'x+1/2,y+1/2,z'
'-x+1/2,-y+1/2,-z'
'-x+1/2,y+1/2,-z'
'x+1/2,-y+1/2,z'
loop_
_atom_site_label
_atom_site_type_symbol
_atom_site_fract_x
_atom_site_fract_y
_atom_site_fract_z
_atom_site_occupancy
Er1 Er 0.1076 0.1870 0.2874 1
Er2 Er 0.2166 0.5000 0.1163 1
In1 In 0.0000 0.5000 0.5000 1
Co1 Co 0.0000 0.0000 0.0000 1
```

Starting from a structure optimized by DFT (PBE), the powder diffraction line list of Er5In2Co was computed for Cu Kα X-rays.
Peak positions follow from Bragg's law for the DFT cell and can differ from measured ones.

The 10 most intense peaks (2θ from 10° to 90°), sorted by position:
d/Å, 2theta, Rel. int.
3.323, 26.83, 22
2.843, 31.47, 58
2.808, 31.87, 65
2.741, 32.67, 100
2.645, 33.90, 30
2.587, 34.68, 50
2.557, 35.10, 20
2.406, 37.38, 53
1.826, 49.94, 24
1.780, 51.34, 19

Atomic structure:
```
data_Er5In2Co
_space_group_name_H-M_alt 'P b a m'
_space_group_IT_number 55
_cell_length_a 6.9323
_cell_length_b 12.2730
_cell_length_c 4.8112
_cell_angle_alpha 90.00
_cell_angle_beta 90.00
_cell_angle_gamma 90.00
loop_
_space_group_symop_operation_xyz
'x,y,z'
'-x,-y,-z'
'-x,-y,z'
'x,y,-z'
'x+1/2,-y+1/2,-z'
'-x+1/2,y+1/2,z'
'-x+1/2,y+1/2,-z'

## Worked solution
Starting from a structure optimized by DFT (PBE), the powder diffraction line list of HoErInCo was computed for Cu Kα X-rays.
Peak positions follow from Bragg's law for the DFT cell and can differ from measured ones.

The 10 most intense peaks (2θ from 10° to 90°), sorted by position:
d/Å, 2theta, Rel. int.
3.343, 26.67, 10
3.082, 28.97, 16
2.653, 33.78, 12
2.560, 35.06, 100
2.364, 38.07, 49
1.765, 51.80, 14
1.671, 54.93, 17
1.522, 60.85, 10
1.437, 64.87, 12
1.400, 66.85, 30

Atomic structure:
```
data_HoErInCo
_space_group_name_H-M_alt 'P 4 m m'
_space_group_IT_number 99
_cell_length_a 3.3429
_cell_length_b 3.3429
_cell_length_c 7.9598
_cell_angle_alpha 90.00
_cell_angle_beta 90.00
_cell_angle_gamma 90.00
loop_
_space_group_symop_operation_xyz
'x,y,z'
'-y,x,z'
'-x,-y,z'
'y,-x,z'
'-x,y,z'
'y,x,z'
'x,-y,z'
'-y,-x,z'
loop_
_atom_site_label
_atom_site_type_symbol
_atom_site_fract_x
_atom_site_fract_y
_atom_site_fract_z
_atom_site_occupancy
Ho1 Ho 0.0000 0.0000 0.0000 1
Er1 Er 0.0000 0.0000 0.5887 1
In1 In 0.5000 0.5000 0.2953 1
Co1 Co 0.5000 0.5000 0.7926 1
```

Starting from a structure optimized by DFT (PBE), the powder diffraction line list of HoErMnCo was computed for Cu Kα X-rays.
Peak positions follow from Bragg's law for the DFT cell and can differ from measured ones.

The 8 most intense peaks (2θ from 10° to 90°), sorted by position:
d/Å, 2theta, Rel. int.
3.427, 26.00, 27
2.423, 37.10, 100
1.979, 45.86, 8
1.714, 53.47, 17
1.533, 60.40, 12
1.399, 66.87, 35
1.212, 79.03, 11
1.142, 84.89, 6

Atomic structure:
```
data_HoErMnCo
_space_group_name_H-M_alt 'F -4 3 m'
_space_group_IT_number 216
_space_group_name_Hall 'F -4 2 3'
_cell_length_a 6.8541
_cell_length_b 6.8541
_cell_length_c 6.8541
_cell_angle_alpha 90.00
_cell_angle_beta 90.00
_cell_angle_gamma 90.00
loop_
_atom_site_label
_atom_site_type_symbol
_atom_site_fract_x
_atom_site_fract_y
_atom_site_fract_z
_atom_site_occupancy
Ho1 Ho 0.0000 0.0000 0.0000 1
Er1 Er 0.0000 0.0000 0.5000 1
Mn1 Mn 0.2500 0.2500 0.2500 1
Co1 Co 0.2500 0.2500 0.7500 1
```

Starting from a structure optimized by DFT (PBE), the powder diffraction line list of Er6InCo was computed for Cu Kα X-rays.
Peak positions follow from Bragg's law for the DFT cell and can differ from measured ones.

The 10 most intense peaks (2θ from 10° to 90°), sorted by position:
d/Å, 2theta, Rel. int.
2.996, 29.82, 75
2.939, 30.42, 73
2.921, 30.61, 78
2.888, 30.96, 100
2.573, 34.87, 94
2.545, 35.27, 53
2.509, 35.79, 72
2.375, 37.87, 36
1.647, 55.81, 34
1.561, 59.17, 36

Atomic structure:
```
data_Er6InCo
_space_group_name_H-M_alt 'C 1 2/m 1'
_space_group_IT_number 12
_cell_length_a 7.9020
_cell_length_b 9.7726
_cell_length_c 6.1758
_cell_angle_alpha 90.00
_cell_angle_beta 105.15
_cell_angle_gamma 90.00
loop_
_space_group_symop_operation_xyz
'x,y,z'
'-x,-y,-z'
'-x,y,-z'
'x,-y,z'
'x+1/2,y+1/2,z'
'-x+1/2,-y+1/2,-z'
'-x+1/2,y+1/2,-z'
'x+1/2,-y+1/2,z'
loop_
_atom_site_label
_atom_site_type_symbol
_atom_site_fract_x
_atom_site_fract_y
_atom_site_fract_z
_atom_site_occupancy
Er1 Er 0.1076 0.1870 0.2874 1
Er2 Er 0.2166 0.5000 0.1163 1
In1 In 0.0000 0.5000 0.5000 1
Co1 Co 0.0000 0.0000 0.0000 1
```

Starting from a structure optimized by DFT (PBE), the powder diffraction line list of Er5In2Co was computed for Cu Kα X-rays.
Peak positions follow from Bragg's law for the DFT cell and can differ from measured ones.

The 10 most intense peaks (2θ from 10° to 90°), sorted by position:
d/Å, 2theta, Rel. int.
3.323, 26.83, 22
2.843, 31.47, 58
2.808, 31.87, 65
2.741, 32.67, 100
2.645, 33.90, 30
2.587, 34.68, 50
2.557, 35.10, 20
2.406, 37.38, 53
1.826, 49.94, 24
1.780, 51.34, 19

Atomic structure:
```
data_Er5In2Co
_space_group_name_H-M_alt 'P b a m'
_space_group_IT_number 55
_cell_length_a 6.9323
_cell_length_b 12.2730
_cell_length_c 4.8112
_cell_angle_alpha 90.00
_cell_angle_beta 90.00
_cell_angle_gamma 90.00
loop_
_space_group_symop_operation_xyz
'x,y,z'
'-x,-y,-z'
'-x,-y,z'
'x,y,-z'
'x+1/2,-y+1/2,-z'
'-x+1/2,y+1/2,z'
'-x+1/2,y+1/2,-z'